At Saint Francis Health System, we believe the more you know about the normal processes of pregnancy and your changing body, the better prepared you will be to cope with the possible discomforts along the way. You'll also better understand how choices you make while pregnant affect your developing baby. Remember, a healthy mom is the first step to a healthy baby!
From childbirth classes to prenatal testing to high-risk care, Saint Francis Health System is here to help you prepare for the big day. Attend a childbirth class, ask questions and involve your husband/partner whenever possible.
General Dos and Don'ts of Pregnancy
To newly pregnant women, it may seem the list of “dos and don’ts” is daunting to say the least. But, bear in mind it’s all for a very good cause. The following guidelines are designed to help you enjoy a happier, healthier pregnancy as you begin the countdown for your baby's arrival.
- Strive for at least six to eight hours of sleep each night.
# Calculated crystals, as found in the file
┌──
## Na12Ca10Ta2Si3S15O72 (GGA-PBE)

Data for a geometry-optimized Na12Ca10Ta2Si3S15O72 structure.

Results
ΔH_f (0 K)   -2.51 eV/atom
Symmetry   P1, No. 1

Cell: 9.2642 9.2974 23.6553 Å, 90.17 89.98 119.80°
With the nearest neighbours (Å) after each atom.
Fractional positions:
O 0.2024 0.0261 0.5875  1 S 1.49
O 0.4972 0.1515 0.2500  1 Si 1.62
O 0.6684 0.5331 0.2482  1 S 1.46
O 0.3189 0.8667 0.9682  1 S 1.47
O 0.1392 0.6547 0.3626  1 S 1.52
O 0.6507 0.5310 0.6309  1 S 1.47
O 0.8796 0.3666 0.9140  1 S 1.48
O 0.8798 0.5120 0.4141  1 S 1.48
O 0.8721 0.3477 0.2456  1 S 1.46
O 0.3410 0.8475 0.8660  1 S 1.55
O 0.5005 0.8220 0.7671  1 Si 1.82, 1 Ta 1.83
O 0.7844 0.7773 0.3070  1 S 1.47
O 0.5158 0.8732 0.0782  1 S 1.50
O 0.7880 0.8108 0.9079  1 S 1.46
O 0.6488 0.1203 0.1331  1 S 1.47
O 0.3247 0.4525 0.4777  1 Si 1.61
O 0.2177 0.0113 0.3087  1 Si 1.61
O 0.4748 0.1253 0.6312  1 S 1.47
O 0.6830 0.5587 0.5287  1 S 1.49
O 0.3226 0.8181 0.2671  1 Si 1.76, 1 Ta 1.90
O 0.2061 0.2516 0.6994  1 S 1.48
O 0.4876 0.1149 0.9128  1 S 1.47
O 0.7451 0.9558 0.6890  1 Si 1.63
O 0.8683 0.5484 0.0311  1 S 1.47
O 0.3401 0.5004 0.3653  1 Si 1.74, 1 Ta 1.93
O 0.6897 0.1405 0.0314  1 S 1.48
O 0.4454 0.3115 0.0317  1 S 1.48
O 0.8851 0.5323 0.1332  1 S 1.47
O 0.8668 0.5334 0.7481  1 S 1.46
O 0.8104 0.0145 0.8019  1 Si 1.58
O 0.8824 0.3449 0.6344  1 S 1.46
O 0.6269 0.5091 0.9116  1 S 1.47
O 0.2078 0.9554 0.1927  1 Si 1.64
O 0.4612 0.3504 0.1335  1 S 1.46
O 0.5165 0.6553 0.5807  1 S 1.52
O 0.5097 0.3668 0.4115  1 Si 1.66
O 0.2191 0.2034 0.8004  1 S 1.45
O 0.5041 0.8534 0.3655  1 S 1.53
O 0.1419 0.6952 0.4637  1 S 1.45
O 0.4453 0.1320 0.5290  1 S 1.50
O 0.9921 0.7838 0.8037  1 S 1.45
O 0.1472 0.4882 0.8675  1 S 1.52
O 0.1932 0.1764 0.0863  1 S 1.52
O 0.1640 0.6765 0.7656  1 S 1.56
O 0.0142 0.8090 0.4065  1 S 1.49
O 0.4728 0.3473 0.7471  1 S 1.46
O 0.0513 0.7983 0.7026  1 S 1.47
O 0.1754 0.1806 0.4158  1 Si 1.63
O 0.3344 0.4751 0.0786  1 S 1.50
O 0.0307 0.2134 0.9113  1 S 1.47
O 0.1301 0.4524 0.9700  1 S 1.48
O 0.5469 0.6819 0.9656  1 S 1.46
O 0.6554 0.1528 0.7493  1 Si 1.61
O 0.9851 0.1777 0.5871  1 S 1.52
O 0.9895 0.8029 0.0853  1 S 1.50
O 0.5456 0.8608 0.4680  1 S 1.47
O 0.1365 0.6481 0.0792  1 S 1.52
O 0.1686 0.4818 0.2613  1 S 1.56
O 0.8688 0.3127 0.5324  1 S 1.48
O 0.0411 0.2485 0.1977  1 S 1.48
O 0.7803 0.9591 0.4074  1 S 1.47
O 0.3560 0.8716 0.5795  1 S 1.50
O 0.6285 0.1135 0.4148  1 S 1.48
O 0.5089 0.6560 0.8641  1 S 1.55
O 0.5145 0.6791 0.2628  1 S 1.55
O 0.1376 0.4777 0.5822  1 S 1.50
O 0.9833 0.2062 0.2990  1 S 1.45
O 0.8178 0.8060 0.5860  1 S 1.49
O 0.3107 0.4822 0.7648  1 S 1.57
O 0.7584 0.8027 0.2049  1 S 1.47
O 0.1844 0.9701 0.9079  1 S 1.46
O 0.8230 0.0251 0.0874  1 S 1.50
Ca 0.0045 0.9876 0.1598  4 O 2.19-2.44
Ca 0.3217 0.6580 0.5160  6 O 2.13-2.38
Ca 0.6698 0.3315 0.6880  6 O 2.16-2.38
Ca 0.6562 0.3282 0.1876  6 O 2.16-2.40
Ca 0.6694 0.3355 0.4798  6 O 2.31-2.44
Ca 0.3400 0.6676 0.0151  6 O 2.19-2.35
Ca 0.6661 0.3360 0.9768  6 O 2.32-2.42
└──
- When you lie down to rest, recline on your left side whenever possible. When you are on your left side, the weight of your growing uterus is shifted off of the major blood vessels that supply your lower body, thus allowing the blood to circulate more freely.
- Continue with as many normal activities as possible.
- Eat lightly – Try five to six small daily meals rather than three large meals. Some healthy snack options include raisins, nuts, seeds, legumes, green leafy vegetables, lean meats, iron-enriched cereals and breads and most dairy products.
- Drink at least six to eight glass of water a day.
- Exercise daily – If you didn't have an exercise routine before becoming pregnant, talk to your doctor about how best to start. Generally, a brisk 30-minute walk is excellent. If you were active before becoming pregnant, discuss your routine with your doctor. Modification may be needed as your center of gravity shifts. Always listen to your body and talk to your doctor about anything that seems out of the ordinary.
- Tell your doctor about any prescription and over-the-counter medications you are taking. They may be able to direct you to a safer alternative.
- Tell your doctor about any smoking, alcohol and drug use by yourself or those around you.
- Contact your provider with any concerns or questions – no matter how small they may seem.
- Do not consume alcoholic beverages during pregnancy.
- Do not smoke during pregnancy. If you do smoke, talk to your doctor about tips and tools you can use to cut back and ultimately quit.
- Avoid lying flat on your back for long periods of time. This can cause pressure on a major vein thus decreasing circulation to the baby.
- Avoid excessive sun exposure to the face. This is advised in order to discourage developing what's known as "pregnancy mask," that is, dark, splotchy spots on your face.
- Avoid use of vasoconstrictor nose drops without talking to your doctor first.
- Avoid hot tubs, saunas, steam baths, sun tanning and sun tanning beds.